Work order =
Copy the lines underneath up to the one that holds "0.000 0.486", that line included.
Contents =
- - -
# 1
Starting from DFT lattice parameters and positions (PBE), the XRD peak list of CsMg14Ti was simulated for a wavelength of 1.5418 Å.
Kinematic intensities with the Lorentz-polarization factor, no thermal factor.

Most intense lines, 5 to 70 degrees two-theta, by intensity:
2.504 Å, 35.86 deg, intensity 100; 2.492 Å, 36.04 deg, intensity 49; 10.604 Å, 8.34 deg, intensity 45; 2.651 Å, 33.81 deg, intensity 38; 4.994 Å, 17.76 deg, intensity 37; 2.841 Å, 31.49 deg, intensity 28; 3.871 Å, 22.98 deg, intensity 25; 5.661 Å, 15.65 deg, intensity 22; 1.501 Å, 61.82 deg, intensity 19; 1.391 Å, 67.33 deg, intensity 18; 1.938 Å, 46.88 deg, intensity 18; 1.633 Å, 56.32 deg, intensity 17

Structural model:
a = 10.604 Å, b = 6.534 Å, c = 6.534 Å
α = 60.40°, β = 90.00°, γ = 90.00°
Element x y z (fractional)
Cs 0.000 0.000 0.000
Mg 0.000 0.497 0.998
Mg 0.000 0.998 0.497
Mg 0.243 0.659 0.659
Mg 0.262 0.175 0.648
Mg 0.262 0.648 0.175
Mg 0.269 0.170 0.170
Mg 0.500 0.497 0.497
Mg 0.500 0.499 0.993
Mg 0.500 0.993 0.499
Mg 0.500 0.995 0.995
Mg 0.731 0.170 0.170
Mg 0.738 0.175 0.648
Mg 0.738 0.648 0.175
Mg 0.757 0.659 0.659
Ti 0.000 0.486 0.486



# 2
Starting from DFT lattice parameters and positions (PBE), the XRD peak list of CsMg14Ti was simulated for a wavelength of 1.5418 Å.
Kinematic intensities with the Lorentz-polarization factor, no thermal factor.

Most intense lines, 5 to 70 degrees two-theta, by intensity:
2.509 Å, 35.78 deg, intensity 100; 2.838 Å, 31.53 deg, intensity 28; 5.676 Å, 15.61 deg, intensity 27; 3.902 Å, 22.79 deg, intensity 25; 2.687 Å, 33.35 deg, intensity 25; 1.399 Å, 66.89 deg, intensity 18; 1.951 Å, 46.55 deg, intensity 18; 1.638 Å, 56.14 deg, intensity 17; 1.515 Å, 61.19 deg, intensity 17; 5.019 Å, 17.67 deg, intensity 16; 1.372 Å, 68.38 deg, intensity 14; 2.798 Å, 31.99 deg, intensity 10

Structural model:
a = 6.554 Å, b = 6.554 Å, c = 10.747 Å
α = 90.00°, β = 90.00°, γ = 120.00°
Element x y z (fractional)
Cs 0.000 0.000 0.000
Mg 0.009 0.504 0.000
Mg 0.169 0.339 0.273
Mg 0.169 0.339 0.727
Mg 0.169 0.831 0.273
Mg 0.169 0.831 0.727
Mg 0.496 0.504 0.000
Mg 0.496 0.991 0.000
Mg 0.504 0.008 0.500
Mg 0.504 0.496 0.500
Mg 0.661 0.831 0.273
Mg 0.661 0.831 0.727
Mg 0.667 0.333 0.244
Mg 0.667 0.333 0.756
Mg 0.992 0.496 0.500
Ti 0.000 0.000 0.500



# 3
Starting from DFT lattice parameters and positions (PBE), the XRD peak list of CsMg6Ti was simulated for a wavelength of 1.5418 Å.
Kinematic intensities with the Lorentz-polarization factor, no thermal factor.

Most intense lines, 5 to 70 degrees two-theta, by intensity:
2.603 Å, 34.45 deg, intensity 100; 5.659 Å, 15.66 deg, intensity 61; 2.830 Å, 31.62 deg, intensity 59; 1.586 Å, 58.15 deg, intensity 31; 4.002 Å, 22.21 deg, intensity 30; 3.579 Å, 24.88 deg, intensity 25; 3.151 Å, 28.32 deg, intensity 20; 2.036 Å, 44.50 deg, intensity 20; 2.932 Å, 30.49 deg, intensity 19; 8.003 Å, 11.06 deg, intensity 18; 2.001 Å, 45.32 deg, intensity 17; 1.863 Å, 48.88 deg, intensity 16

Structural model:
a = 8.003 Å, b = 8.003 Å, c = 3.428 Å
α = 90.00°, β = 90.00°, γ = 90.00°
Element x y z (fractional)
Cs 0.000 0.000 0.000
Mg 0.000 0.500 0.000
Mg 0.292 0.292 0.500
Mg 0.292 0.708 0.500
Mg 0.500 0.000 0.000
Mg 0.708 0.292 0.500
Mg 0.708 0.708 0.500
Ti 0.500 0.500 0.000



# 4
Starting from DFT lattice parameters and positions (PBE), the XRD peak list of CsMg6V was simulated for a wavelength of 1.5418 Å.
Kinematic intensities with the Lorentz-polarization factor, no thermal factor.

Most intense lines, 5 to 70 degrees two-theta, by intensity:
2.693 Å, 33.27 deg, intensity 100; 2.651 Å, 33.81 deg, intensity 26; 4.044 Å, 21.98 deg, intensity 25; 5.303 Å, 16.72 deg, intensity 22; 5.192 Å, 17.08 deg, intensity 21; 2.596 Å, 34.55 deg, intensity 20; 3.710 Å, 23.99 deg, intensity 19; 3.127 Å, 28.55 deg, intensity 17; 1.539 Å, 60.13 deg, intensity 17; 1.855 Å, 49.12 deg, intensity 15; 6.253 Å, 14.16 deg, intensity 14; 3.916 Å, 22.71 deg, intensity 12

Structural model:
- - -
Completed =
# 1
Starting from DFT lattice parameters and positions (PBE), the XRD peak list of CsMg14Ti was simulated for a wavelength of 1.5418 Å.
Kinematic intensities with the Lorentz-polarization factor, no thermal factor.

Most intense lines, 5 to 70 degrees two-theta, by intensity:
2.504 Å, 35.86 deg, intensity 100; 2.492 Å, 36.04 deg, intensity 49; 10.604 Å, 8.34 deg, intensity 45; 2.651 Å, 33.81 deg, intensity 38; 4.994 Å, 17.76 deg, intensity 37; 2.841 Å, 31.49 deg, intensity 28; 3.871 Å, 22.98 deg, intensity 25; 5.661 Å, 15.65 deg, intensity 22; 1.501 Å, 61.82 deg, intensity 19; 1.391 Å, 67.33 deg, intensity 18; 1.938 Å, 46.88 deg, intensity 18; 1.633 Å, 56.32 deg, intensity 17

Structural model:
a = 10.604 Å, b = 6.534 Å, c = 6.534 Å
α = 60.40°, β = 90.00°, γ = 90.00°
Element x y z (fractional)
Cs 0.000 0.000 0.000
Mg 0.000 0.497 0.998
Mg 0.000 0.998 0.497
Mg 0.243 0.659 0.659
Mg 0.262 0.175 0.648
Mg 0.262 0.648 0.175
Mg 0.269 0.170 0.170
Mg 0.500 0.497 0.497
Mg 0.500 0.499 0.993
Mg 0.500 0.993 0.499
Mg 0.500 0.995 0.995
Mg 0.731 0.170 0.170
Mg 0.738 0.175 0.648
Mg 0.738 0.648 0.175
Mg 0.757 0.659 0.659
Ti 0.000 0.486 0.486